Given >
-- begin --
Density functional theory data (PBE) for a relaxed Cd4NiRu crystal.

Unit cell a=5.453 b=5.453 c=5.453 alpha=60.00 beta=60.00 gamma=60.00
Site moments in Bohr magnetons follow the coordinates.
Fractional coordinates of all 6 atoms:
Ni  0.750  0.750  0.750  0.29
Cd  0.875  0.375  0.375  -0.01
Cd  0.375  0.375  0.375  -0.01
Cd  0.375  0.375  0.875  -0.01
Cd  0.375  0.875  0.375  -0.01
Ru  0.000  0.000  0.000  0.98

DFT formation energy (kJ per mole of atoms): 61.1
Space-group type: No. 216
DFT total energy (eV for the cell shown): -14.9
Magnetization (μB per cell): 1.2
Density of states at the Fermi level (states/eV/f.u.): 6.46

=====

[1]
Os2RhCl | Alexandria via LeMat-Bulk | PBE-GGA | relaxed; total magnetization = 1.22 μB/f.u.; volume = 15.056 A^3/atom; ΔE_f (raw) = 1.134 eV/atom; space-group type = No. 216
1.0
6.2221 0.0000 0.0000
0.0000 6.2221 0.0000
0.0000 0.0000 6.2221
Os Rh Cl
8 4 4
direct
0.0000 0.0000 0.0000 Os
0.0000 0.5000 0.5000 Os
0.2500 0.2500 0.2500 Os
0.2500 0.7500 0.7500 Os
0.5000 0.0000 0.5000 Os
0.5000 0.5000 0.0000 Os
0.7500 0.2500 0.7500 Os
0.7500 0.7500 0.2500 Os
0.0000 0.0000 0.5000 Rh
0.0000 0.5000 0.0000 Rh
0.5000 0.0000 0.0000 Rh
0.5000 0.5000 0.5000 Rh
0.2500 0.2500 0.7500 Cl
0.2500 0.7500 0.2500 Cl
0.7500 0.2500 0.2500 Cl
0.7500 0.7500 0.7500 Cl

=====

[2]
Li2MoRu | Alexandria via LeMat-Bulk | PBE-GGA | relaxed; total magnetization = 0.00 μB/f.u.; volume = 14.826 A^3/atom; space-group type = No. 6; energy of formation from the pure elements = 0.227 eV/atom
1.0
2.5505 0.0000 0.0000
0.0000 4.3989 0.0000
-0.4717 0.0000 5.2861
Li Mo Ru
2 1 1
direct
0.0000 0.0000 0.0000 Li
0.1804 0.5000 0.7816 Li
0.6820 0.5000 0.3031 Mo
0.4637 0.0000 0.4919 Ru

=====

[3]
B12S | Alexandria via LeMat-Bulk | PBE-GGA | relaxed; total magnetization = 0.00 μB/f.u.; volume = 8.577 A^3/atom; ΔE_f (raw) = 0.019 eV/atom; space-group type = No. 160
1.0
2.7968 1.6147 4.1151
-2.7968 1.6147 4.1151
0.0000 -3.2294 4.1151
B S
12 1
direct
0.0097 0.4952 0.4952 B
0.1098 0.1098 0.6297 B
0.1098 0.6297 0.1098 B
0.3039 0.3039 0.9750 B
0.3039 0.9750 0.3039 B
0.3128 0.3128 0.6370 B
0.3128 0.6370 0.3128 B
0.4952 0.0097 0.4952 B
0.4952 0.4952 0.0097 B
0.6297 0.1098 0.1098 B
0.6370 0.3128 0.3128 B
0.9750 0.3039 0.3039 B
0.7226 0.7226 0.7226 S

=====

[4]
CuHgO3 | Alexandria via LeMat-Bulk | PBE-GGA | relaxed; total magnetization = 0.00 μB/f.u.; volume = 14.071 A^3/atom; ΔE_f (raw) = -0.114 eV/atom; space-group type = No. 11
1.0
3.7144 0.0000 0.0000
0.0000 5.9503 0.0000
-1.3034 0.0000 6.3663
-- stop --

Brief >
Retype the notes further up verbatim.

Result >
Density functional theory data (PBE) for a relaxed Cd4NiRu crystal.

Unit cell a=5.453 b=5.453 c=5.453 alpha=60.00 beta=60.00 gamma=60.00
Site moments in Bohr magnetons follow the coordinates.
Fractional coordinates of all 6 atoms:
Ni  0.750  0.750  0.750  0.29
Cd  0.875  0.375  0.375  -0.01
Cd  0.375  0.375  0.375  -0.01
Cd  0.375  0.375  0.875  -0.01
Cd  0.375  0.875  0.375  -0.01
Ru  0.000  0.000  0.000  0.98

DFT formation energy (kJ per mole of atoms): 61.1
Space-group type: No. 216
DFT total energy (eV for the cell shown): -14.9
Magnetization (μB per cell): 1.2
Density of states at the Fermi level (states/eV/f.u.): 6.46

=====

[1]
Os2RhCl | Alexandria via LeMat-Bulk | PBE-GGA | relaxed; total magnetization = 1.22 μB/f.u.; volume = 15.056 A^3/atom; ΔE_f (raw) = 1.134 eV/atom; space-group type = No. 216
1.0
6.2221 0.0000 0.0000
0.0000 6.2221 0.0000
0.0000 0.0000 6.2221
Os Rh Cl
8 4 4
direct
0.0000 0.0000 0.0000 Os
0.0000 0.5000 0.5000 Os
0.2500 0.2500 0.2500 Os
0.2500 0.7500 0.7500 Os
0.5000 0.0000 0.5000 Os
0.5000 0.5000 0.0000 Os
0.7500 0.2500 0.7500 Os
0.7500 0.7500 0.2500 Os
0.0000 0.0000 0.5000 Rh
0.0000 0.5000 0.0000 Rh
0.5000 0.0000 0.0000 Rh
0.5000 0.5000 0.5000 Rh
0.2500 0.2500 0.7500 Cl
0.2500 0.7500 0.2500 Cl
0.7500 0.2500 0.2500 Cl
0.7500 0.7500 0.7500 Cl

=====

[2]
Li2MoRu | Alexandria via LeMat-Bulk | PBE-GGA | relaxed; total magnetization = 0.00 μB/f.u.; volume = 14.826 A^3/atom; space-group type = No. 6; energy of formation from the pure elements = 0.227 eV/atom
1.0
2.5505 0.0000 0.0000
0.0000 4.3989 0.0000
-0.4717 0.0000 5.2861
Li Mo Ru
2 1 1
direct
0.0000 0.0000 0.0000 Li
0.1804 0.5000 0.7816 Li
0.6820 0.5000 0.3031 Mo
0.4637 0.0000 0.4919 Ru

=====

[3]
B12S | Alexandria via LeMat-Bulk | PBE-GGA | relaxed; total magnetization = 0.00 μB/f.u.; volume = 8.577 A^3/atom; ΔE_f (raw) = 0.019 eV/atom; space-group type = No. 160
1.0
2.7968 1.6147 4.1151
-2.7968 1.6147 4.1151
0.0000 -3.2294 4.1151
B S
12 1
direct
0.0097 0.4952 0.4952 B
0.1098 0.1098 0.6297 B
0.1098 0.6297 0.1098 B
0.3039 0.3039 0.9750 B
0.3039 0.9750 0.3039 B
0.3128 0.3128 0.6370 B
0.3128 0.6370 0.3128 B
0.4952 0.0097 0.4952 B
0.4952 0.4952 0.0097 B
0.6297 0.1098 0.1098 B
0.6370 0.3128 0.3128 B
0.9750 0.3039 0.3039 B
0.7226 0.7226 0.7226 S

=====

[4]
CuHgO3 | Alexandria via LeMat-Bulk | PBE-GGA | relaxed; total magnetization = 0.00 μB/f.u.; volume = 14.071 A^3/atom; ΔE_f (raw) = -0.114 eV/atom; space-group type = No. 11
1.0
3.7144 0.0000 0.0000
0.0000 5.9503 0.0000
-1.3034 0.0000 6.3663